## What to do
Please copy the lines further down up to the one that holds "2.083 0.837", that line included.

## Given
'''
# 1
Here is a structure of composition C26H21AgN5OS5Sb from the OMol25 dataset. Energies are from wB97M-V/def2-TZVPD.

Geometry (Å):
Ag1 0.363 0.720 -0.304
N1 -0.260 1.698 4.069
C1 -0.287 1.632 2.723
N2 -0.259 0.526 2.064
C2 -0.149 -0.670 2.700
N3 0.120 -1.781 2.078
N4 0.303 -1.584 0.714
C3 0.968 -2.504 0.148
C4 1.271 -2.436 -1.304
C5 1.914 -3.511 -1.908
C6 2.205 -3.436 -3.264
C7 1.843 -2.294 -3.955
C8 1.203 -1.269 -3.266
N5 0.922 -1.336 -1.973
C9 -0.291 -0.685 4.164
C10 -0.349 -1.863 4.912
C11 -0.427 -1.817 6.288
C12 -0.434 -0.580 6.940
C13 -0.373 0.593 6.224
C14 -0.304 0.549 4.825
H1 -0.072 2.610 4.468
H2 -0.255 2.589 2.204
H3 1.363 -3.358 0.703
H4 2.184 -4.382 -1.323
H5 2.711 -4.253 -3.764
H6 2.061 -2.180 -5.010
H7 0.914 -0.348 -3.761
H8 -0.318 -2.801 4.374
H9 -0.469 -2.733 6.866
H10 -0.487 -0.542 8.022
H11 -0.378 1.556 6.723
S1 3.066 5.230 -0.868
Sb1 1.733 3.729 0.251
S2 2.722 1.593 0.483
S3 -0.252 3.167 -0.946
S4 1.061 4.564 2.369
O1 -2.326 0.068 -1.160
S5 -3.427 -0.368 -0.281
C15 -3.507 0.841 1.060
C16 -4.057 0.497 2.284
C17 -4.073 1.442 3.302
C18 -3.531 2.703 3.084
C19 -2.956 3.021 1.859
C20 -2.938 2.083 0.837
C21 -4.944 0.211 -1.085
C22 -4.815 1.139 -2.105
C23 -5.955 1.602 -2.744
C24 -7.208 1.131 -2.370
C25 -7.324 0.192 -1.353
C26 -6.187 -0.275 -0.708
H12 -4.446 -0.503 2.450
H13 -4.485 1.184 4.271
H14 -3.523 3.432 3.887
H15 -2.466 3.976 1.697
H16 -2.399 2.305 -0.083
H17 -3.819 1.477 -2.373
H18 -5.865 2.336 -3.536
H19 -8.095 1.496 -2.873
H20 -8.300 -0.179 -1.065
H21 -6.264 -1.010 0.086

Values from the calculation:
Gap between HOMO and LUMO (eV): 4.4
Highest occupied orbital energy (eV): -0.615
Net charge: -2
E_LUMO (eV): 3.80

# 2
Here is a structure of composition C26H21AuGeN8OS2 from the OMol25 dataset. Energies are from wB97M-V/def2-TZVPD.

Geometry (Å):
Au1 -0.042 0.188 0.216
S1 -0.932 2.255 -0.928
C1 -2.262 1.503 -1.733
C2 -2.715 2.073 -2.927
C3 -3.785 1.523 -3.610
C4 -4.184 2.053 -4.862
N1 -4.494 2.478 -5.879
C5 -4.465 0.401 -3.068
C6 -4.044 -0.148 -1.871
C7 -2.922 0.362 -1.212
S2 -2.409 -0.435 0.229
C8 -5.526 -0.191 -3.795
N2 -6.362 -0.693 -4.395
H1 -2.199 2.938 -3.321
H2 -4.560 -0.997 -1.447
O1 1.376 0.799 2.030
N3 1.226 1.220 3.248
C9 0.935 2.509 3.492
C10 0.779 2.973 4.779
C11 0.920 2.098 5.848
C12 1.237 0.775 5.576
C13 1.382 0.362 4.271
H3 0.842 3.141 2.621
H4 0.554 4.015 4.935
H5 0.791 2.434 6.863
H6 1.378 0.060 6.371
H7 1.638 -0.652 4.002
N4 2.845 -4.291 1.322
N5 1.706 -3.621 1.087
N6 0.547 -4.050 1.516
C14 -0.271 -3.073 1.161
N7 0.394 -2.111 0.529
N8 1.651 -2.468 0.491
H8 2.674 -5.258 1.572
H9 3.553 -4.134 0.615
H10 -1.325 -3.068 1.334
Ge1 2.431 0.371 -0.506
C15 3.022 -0.994 -1.833
C16 4.120 -1.773 -1.507
C17 4.567 -2.748 -2.382
C18 3.911 -2.948 -3.585
C19 2.810 -2.175 -3.913
C20 2.363 -1.204 -3.033
C21 2.543 2.156 -1.405
C22 1.816 2.439 -2.554
C23 1.886 3.696 -3.132
C24 2.681 4.673 -2.559
C25 3.414 4.392 -1.416
C26 3.338 3.137 -0.836
H11 3.586 0.388 0.493
H12 4.628 -1.605 -0.566
H13 5.433 -3.341 -2.131
H14 4.262 -3.704 -4.271
H15 2.303 -2.324 -4.852
H16 1.498 -0.609 -3.291
H17 1.201 1.677 -3.014
H18 1.324 3.908 -4.029
H19 2.733 5.655 -3.004
H20 4.045 5.149 -0.975
H21 3.899 2.916 0.062

Values from the calculation:
Gap between HOMO and LUMO (alpha / beta) (eV): 6.4 / 5.2
Highest occupied orbital energy (alpha / beta) (eV): -11.214 / -11.116
Net charge: +1
Multiplicity: 2
E_LUMO (alpha / beta) (eV): -4.86 / -5.94

Values of max |F|, in order: 0.54, 2.31, all in eV/A.
Values of energy relative to the best compared isomer or geometry (same formula, charge and spin), in order: 0.0, 241.3, all in kJ/mol.
'''

## Response
# 1
Here is a structure of composition C26H21AgN5OS5Sb from the OMol25 dataset. Energies are from wB97M-V/def2-TZVPD.

Geometry (Å):
Ag1 0.363 0.720 -0.304
N1 -0.260 1.698 4.069
C1 -0.287 1.632 2.723
N2 -0.259 0.526 2.064
C2 -0.149 -0.670 2.700
N3 0.120 -1.781 2.078
N4 0.303 -1.584 0.714
C3 0.968 -2.504 0.148
C4 1.271 -2.436 -1.304
C5 1.914 -3.511 -1.908
C6 2.205 -3.436 -3.264
C7 1.843 -2.294 -3.955
C8 1.203 -1.269 -3.266
N5 0.922 -1.336 -1.973
C9 -0.291 -0.685 4.164
C10 -0.349 -1.863 4.912
C11 -0.427 -1.817 6.288
C12 -0.434 -0.580 6.940
C13 -0.373 0.593 6.224
C14 -0.304 0.549 4.825
H1 -0.072 2.610 4.468
H2 -0.255 2.589 2.204
H3 1.363 -3.358 0.703
H4 2.184 -4.382 -1.323
H5 2.711 -4.253 -3.764
H6 2.061 -2.180 -5.010
H7 0.914 -0.348 -3.761
H8 -0.318 -2.801 4.374
H9 -0.469 -2.733 6.866
H10 -0.487 -0.542 8.022
H11 -0.378 1.556 6.723
S1 3.066 5.230 -0.868
Sb1 1.733 3.729 0.251
S2 2.722 1.593 0.483
S3 -0.252 3.167 -0.946
S4 1.061 4.564 2.369
O1 -2.326 0.068 -1.160
S5 -3.427 -0.368 -0.281
C15 -3.507 0.841 1.060
C16 -4.057 0.497 2.284
C17 -4.073 1.442 3.302
C18 -3.531 2.703 3.084
C19 -2.956 3.021 1.859
C20 -2.938 2.083 0.837